Yup, it's time for more timecockdoodles. Re-enactings of famous paintings, tentacle porn, breadfuckery, quiz shows, pirates, blingy bikinis and Stonehenge await!
The boys re-enact famous paintings. PacMasters for everyone.
Adventures on the high seas!
┌──
(1)
Computed, not measured: 6 unconnected molecules or ions with the total composition BrH10O5 at a distorted geometry, with ωB97M-V/def2-TZVPD.

Summary:
**Total charge**: -1
**Strongest force on any atom**: 2.3 eV/Å
**Kohn-Sham gap**: 8.7461 eV
**E**: -80445.6224 eV
**LUMO energy**: 0.1243 hartree
**Highest occupied orbital energy**: -0.197 hartree
**ΔE to the lowest compared entry with this formula, charge and spin**: 0.513 eV

```
16
Properties=species:S:1:pos:R:3:forces:R:3
Br -17.818 14.290 -15.476 -0.263 0.235 -0.437
O -14.515 14.601 -15.599 0.866 0.373 0.614
O -16.268 15.546 -12.931 0.608 0.047 -0.226
O -16.291 11.987 -17.323 1.663 -0.474 -1.286
O -15.967 12.527 -13.256 0.093 -0.237 1.962
O -19.014 11.212 -14.780 -0.362 -2.214 -0.189
H -14.337 14.252 -16.451 0.852 -0.682 -1.170
H -15.815 12.058 -14.048 0.137 -0.596 -1.518
H -16.955 15.802 -12.331 -0.544 0.136 0.551
H -18.628 10.492 -15.334 -0.314 1.236 0.607
H -15.446 14.735 -15.715 -1.574 0.302 0.561
H -16.756 15.316 -13.739 -0.088 0.027 -0.231
H -16.134 13.430 -13.501 -0.061 0.575 -0.203
H -18.648 12.039 -15.068 0.627 0.929 -0.370
H -15.651 12.463 -17.888 -0.103 -0.792 0.298
H -16.865 12.712 -17.160 -1.536 1.134 1.036
```
Forces are in eV/Å.

***

(2)
Computed, not measured: 6 unconnected molecules or ions with the total composition BrH10O5, with ωB97M-V/def2-TZVPD.

Summary:
**Total charge**: -1
**Strongest force on any atom**: 0.4 eV/Å
**Kohn-Sham gap**: 7.0819 eV
**E**: -80444.6477 eV
**LUMO energy**: 0.1145 hartree
**Highest occupied orbital energy**: -0.146 hartree
**ΔE to the lowest compared entry with this formula, charge and spin**: 1.488 eV

```
16
Properties=species:S:1:pos:R:3:forces:R:3
Br 0.020 -0.720 -0.392 -0.020 0.140 -0.034
O 4.385 -0.658 -4.499 0.162 -0.068 -0.309
O 0.162 4.293 -2.672 0.004 0.387 -0.096
O -4.990 1.841 -1.359 -0.325 0.091 0.079
O -0.199 -6.150 3.400 0.167 -0.226 0.066
O 0.679 0.634 5.393 -0.027 -0.096 0.301
H 0.276 3.736 -1.902 0.014 -0.261 0.249
H 0.441 0.664 4.467 -0.081 -0.108 -0.367
H 1.102 1.477 5.559 0.104 0.175 0.027
H -0.962 -6.364 3.938 -0.162 -0.043 0.128
H 5.002 -0.227 -3.909 0.116 0.073 0.168
H -4.898 2.168 -2.255 0.042 0.060 -0.189
H 0.054 3.680 -3.399 -0.023 -0.200 -0.119
H -4.125 1.496 -1.140 0.332 -0.189 0.134
H -0.471 -5.388 2.890 0.012 0.288 -0.212
H 3.525 -0.481 -4.119 -0.313 -0.024 0.175
```
Forces are in eV/Å.

***

(3)
Computed, not measured: 7 unconnected molecules or ions with the total composition BrH12O6, with ωB97M-V/def2-TZVPD.

Summary:
**Total charge**: -1
**Strongest force on any atom**: 0.6 eV/Å
**Kohn-Sham gap**: 7.7327 eV
**E**: -82525.1662 eV
**LUMO energy**: 0.1129 hartree
**Highest occupied orbital energy**: -0.171 hartree
**ΔE to the lowest compared entry with this formula, charge and spin**: 1.303 eV

```
19
Properties=species:S:1:pos:R:3:forces:R:3
Br -0.197 -0.187 0.015 -0.048 0.021 0.105
O -1.571 1.368 -4.159 -0.141 0.005 -0.406
O -2.218 4.162 1.225 -0.016 0.378 0.124
O -0.997 -0.849 4.274 -0.068 0.047 0.496
└──
## Back to the text
45eugenia suggested that instead of a busty mermaid, they could challenge the sea with... er... giant timebits, so that even the sea goes "dayum". And stick!Ten's hair so often looks like a crown...
(Attached: data records)
********
No. 1
C16H56N16O16 | ωB97M-V/def2-TZVPD

For the energy relative to the best compared isomer or geometry (same formula, charge and spin), the calculation gives 53.75 kcal per mole. The value obtained for the largest force on an atom is 5.2 eV/A. As for the LUMO energy: -0.2 eV. Its SMILES is NC(N)=O.NC(N)=O.NC(N)=O.NC(N)=O.NC(N)=O.NC(N)=O.NC(N)=O.NC(N)=O.OCCO.OCCO.OCCO.OCCO. The HOMO-LUMO gap comes out at 8.732 eV. The molar mass is 728.72 g/mol.

```
104
Properties=species:S:1:pos:R:3:mulliken_charge:R:1
C -3.334 -3.193 -2.828 -0.27
C -3.136 -1.929 -3.637 0.12
O -3.019 -2.153 -5.015 -0.62
O -3.538 -2.792 -1.473 -0.49
H -2.459 -3.848 -2.893 0.17
H -4.221 -3.720 -3.126 0.35
H -2.258 -1.377 -3.272 -0.03
H -4.061 -1.369 -3.617 0.13
H -2.125 -2.319 -5.340 0.33
H -2.776 -2.304 -1.152 0.12
C 1.859 -1.721 -3.369 -0.05
C 1.022 -3.038 -3.427 -0.55
O 0.587 -3.535 -2.140 -0.46
O 3.038 -1.898 -2.683 -0.67
H 1.404 -0.775 -2.943 -0.03
H 2.054 -1.525 -4.434 0.43
H 1.608 -3.849 -3.822 0.43
H 0.171 -2.790 -4.021 0.05
H -0.014 -2.870 -1.743 0.05
H 2.748 -1.719 -1.734 0.37
C -1.079 2.416 2.595 0.49
C -1.621 3.251 3.805 -0.64
O -2.224 4.410 3.338 -0.57
O -2.279 2.081 1.756 -0.53
H -0.507 1.528 2.947 0.01
H -0.386 3.008 1.982 -0.06
H -0.768 3.629 4.385 0.40
H -2.290 2.677 4.485 0.24
H -3.025 4.097 2.888 0.33
H -2.636 1.298 2.128 0.21
C 1.459 0.328 -0.166 -1.22
C 0.126 -0.067 0.359 1.90
O -0.527 -1.018 -0.528 1.55
O 2.339 -0.801 -0.306 -0.39
H 1.935 1.125 0.420 -0.18
H 1.333 0.722 -1.152 0.74
H -0.602 0.746 0.421 -0.56
H 0.266 -0.666 1.282 -0.21
H -0.763 -0.570 -1.377 -0.56
H 2.315 -1.264 0.558 0.14
C 4.181 1.582 -3.240 0.46
O 4.147 2.790 -3.613 -0.77
N 4.121 1.339 -1.898 -0.07
N 4.074 0.578 -4.150 -0.32
H 3.591 0.543 -1.580 0.13
H 4.293 2.131 -1.283 0.29
H 3.979 0.876 -5.107 0.22
H 4.416 -0.355 -4.007 0.21
C -5.058 0.527 -0.020 -0.02
O -4.011 0.444 -0.693 -0.63
N -5.454 1.727 0.396 -0.34
N -5.817 -0.506 0.160 -0.24
H -5.169 2.478 -0.222 0.29
H -6.398 1.800 0.805 0.20
H -5.350 -1.319 -0.232 0.28
H -6.801 -0.545 0.242 0.22
C -0.373 -4.598 1.182 0.64
O -0.803 -4.110 2.231 -0.82
N 0.764 -4.066 0.725 -0.16
N -0.887 -5.731 0.736 -0.45
H 1.015 -3.186 1.183 -0.09
H 1.290 -4.266 -0.137 0.24
H -1.762 -5.966 1.185 0.26
H -0.829 -6.151 -0.169 0.23
C -1.119 2.503 -1.825 0.26
O -0.338 3.165 -2.588 -0.73
N -1.704 1.248 -2.268 -0.15
N -1.610 3.017 -0.599 -0.01
H -1.681 1.156 -3.306 0.26
H -2.520 0.993 -1.795 0.32
H -2.019 2.352 0.054 -0.26
H -1.096 3.749 -0.135 0.27
C -2.857 -0.875 2.897 0.36
O -2.339 -1.197 3.894 -0.53
N -3.875 0.113 2.891 -0.49
N -2.654 -1.456 1.604 0.02
H -4.086 0.457 3.811 0.22
H -4.719 -0.030 2.361 0.21
H -1.791 -2.065 1.656 0.02
H -2.746 -0.947 0.731 -0.03
C 5.122 1.415 2.378 0.40
O 4.813 1.035 3.511 -0.72
N 4.777 0.656 1.259 -0.20
N 5.549 2.715 2.134 -0.44
H 4.545 -0.244 1.651 0.12
H 5.414 0.507 0.476 0.28
H 5.262 3.334 1.357 0.34
H 5.572 3.214 3.020 0.26
C 3.050 3.938 -0.408 0.56
O 4.224 3.566 -0.237 -0.92
N 2.333 4.335 0.710 -0.29
********
The Prydonian chapter take part in University Universal Challenge (yes, those are baby Rani and baby Monk on the team). And Koschei is a dick. But we know this.
Oh yeah, moar Jenny porn. *cough*
And BREAAAAAAAD. The Master's lust knows no bounds. Flash a muffin at him and he'll love you forever.
I can't even remember how this came about, but it was something to do with Daves living in
versaphile's back garden and them having to fight the squirrels and the neighbour's cat for food.
But once you tame them, you can use them as house Daves. With varying levels of success.
Errr, yeah, I hadn't been feeling too good. But, um, depressed angsty dying Tens soon turned into blingy ones.
reasonabsurd tried to cheer me up by telling me to imagine Ten wearing
this. So, I did. And then Gene suggested I should do mirrorverse versions of the guys. Good!Master being tortured by Evil!Doctor was therapeutic, I must say.
Geen's dog discovers the internet. The boys discover fly swatters, aubergines and Stonehenge.
Continuing with the fine tradition of
versaphile/Daves=OTP, have DAVEFURNITURE and Daveappliances and a garden of Timeyness.
The boys when kept as pets by aliens! The Master as
-- Calculated molecules from another source follow --
<<<
Entry from the OMol25 dataset: 4 unconnected molecules or ions with the total composition C16H27BF2O8Si (ωB97M-V/def2-TZVPD).

Output
Electronic energy, eV: -47402.7298
E_LUMO, eV: 0.13

```
! wB97M-V def2-TZVPD RIJCOSX def2/J DEFGRID3
* xyz 0 1
H 1.38372 9.18097 -0.96847
O 1.71941 8.72816 1.01220
C 0.31188 -5.01104 1.68321
H 1.90547 -6.50754 1.72684
C 1.48535 -5.71650 2.35257
C 2.29372 -3.69014 1.64867
C 2.17442 8.74645 -0.35302
H 1.07423 2.72620 2.48320
H -2.78798 1.10290 -1.69336
H -1.18988 0.95230 -0.98490
C 1.40809 6.57020 0.15397
C -1.93084 -6.43522 -2.89174
H 0.44070 6.46847 -0.34031
C 1.22613 7.50802 1.32585
Si -0.17252 2.00013 2.14097
H 1.25537 -6.12773 3.33214
H -3.00471 -6.39979 -3.08603
C -1.94862 1.67079 -1.29274
O -1.07078 -1.36445 2.60092
H -0.64912 4.83480 1.46367
H -1.53030 2.27049 -2.10255
H -1.55250 -5.37897 -4.79590
H -1.60268 -7.47022 -2.93132
O 2.49464 -4.70052 2.52405
C -0.68856 -0.76620 1.66211
C -1.14526 -5.48643 -3.79322
H -0.11315 -5.82840 -3.88000
H 0.46718 -3.03355 0.73294
H 1.12246 -0.05325 2.35720
H -0.32473 -3.54936 -3.13349
H -0.30641 -4.52523 2.43966
O -1.22555 -4.59733 -1.61535
O -1.87447 -6.38038 -0.44277
O -0.80610 4.40324 0.61417
H 3.05328 9.38387 -0.40500
H 3.44790 7.00710 -0.39001
B -1.22668 3.09938 0.76647
C 1.03138 -3.95308 0.85405
H 1.72097 5.59171 0.50746
F -1.00850 1.80917 3.50659
F -1.24590 -1.00395 0.43566
O 0.71469 7.27128 2.38271
H 2.35712 7.08662 -1.77429
O 3.04640 -2.76103 1.55972
H -2.89099 3.46711 -0.56755
H 0.87762 0.29705 0.64955
C -1.69206 -5.86522 -1.50682
C 2.44266 7.28583 -0.70851
H -2.09629 -3.60897 -3.19711
C 0.38189 0.26620 1.62069
H 1.31370 -4.32350 -0.13377
C -1.19322 -4.18801 -2.99314
C -2.39900 2.58964 -0.13676
H -0.32261 -5.67519 1.10338
H -3.15097 2.08310 0.47753
*
```

----------

2 unconnected molecules or ions with the total composition C26H44ClNO3P at a distorted geometry, computed with ωB97M-V with the def2-TZVPD basis set.

```
! wB97M-V def2-TZVPD RIJCOSX def2/J DEFGRID3
* xyz -1 1
C 2.297 -3.342 3.233
C 0.954 -2.467 3.210
C 1.113 -1.312 4.282
C 1.415 0.118 3.686
C 0.412 0.596 2.567
C -0.807 1.448 3.090
C -1.811 0.655 4.011
C -2.552 -0.556 3.305
C -2.950 -0.277 1.790
C -2.178 -1.286 0.842
C -3.096 -2.207 -0.052
C -2.139 -3.336 -0.669
C -1.181 -2.758 -1.779
C 0.363 -2.993 -1.503
C 1.259 -1.724 -1.727
C 1.439 -1.174 -3.215
C 1.401 0.424 -3.006
C 1.059 0.922 -4.472
C 1.101 2.489 -4.689
C 0.418 3.335 -3.577
C 1.020 3.620 -2.279
C 0.371 4.382 -1.216
C -0.962 4.910 -1.459
C -1.605 4.685 -2.763
C -0.927 3.903 -3.808
P 3.211 0.704 -2.421
O 4.010 1.769 -3.473
O 3.235 1.242 -0.811
C 0.286 0.440 -1.891
O -0.735 1.063 -1.796
N 0.730 -0.562 -0.944
H 2.183 -4.183 2.505
H 3.126 -2.628 2.977
H 2.444 -3.673 4.291
H 0.842 -2.115 2.154
H 0.070 -3.092 3.526
H 0.245 -1.302 4.996
H 2.013 -1.590 4.914
H 2.463 0.183 3.281
H 1.307 0.850 4.542
H 0.002 -0.222 1.921
H 0.999 1.274 1.871
H -1.272 1.955 2.201
H -0.380 2.284 3.727
H -1.194 0.211 4.838
H -2.554 1.334 4.499
H -3.506 -0.723 3.864
>>>
Nataraja! And the last panel is the ultimate solution to Simm!Master showing up again. Just sing Bowie at him and he'll throw himself off the nearest roof.
I don't know what the fuck Pam was smoking when she doodled this in Scriblink: a random squid with a MASTER HEAD and an inexplicable turban on him. The Persiaverse doesn't have squids... yet. But SQUIDMASTER IS THE MOST BEAUTIFUL THING EVER WITH ITS WEE SLURPY FACE AND IT IS ABOUT TO EAT FISH!DOCTOR. (Click for bigger) Oh, and the Master is only weeing on Medusa!Doctor to neutralise the sting.
And that resulted in various tributes from yours truly: I started out doodling random mask kink but then the damn squid slurped its way onto the page and wouldn't leave me alone.
And um, this happened. I had been watching way too much Boosh.
Ten and the Master relive the joys of childhood: reading comics under the covers, snuggling and swimming! Also, magnetic bums. And random Persia.
Birds. Moar Pam/Ten. Slurpitude. And
Abu Nuwas! He was a medieval Persian poet of awesome who wrote about bumming and wanking and boozing and philosophy (I just read a collection of his work and was much impressed by his wit). He was made of so much win he was immortalised in The Thousand and One Nights. He was the Oscar Wilde of his time, pretty much, and remains a controversial figure to this day. Check him out if you can.
Um, the top left thing is an answer to a meme that asked which naughty inanimate object I'd like to be reincarnated as (yes, I was feeling flippant). Aaand Ten gives a presentation on how to deal with the Master, sexy style.